Exercise:
Now return everything further down with every line break kept.

Listing:
********
No. 1
Computed, not measured: CH2ClFP2 in the gas phase at a distorted geometry, with wB97M-V/def2-TZVPD.

Positions of all 7 atoms, in Å:
F -0.334 1.070 2.562
P -1.365 0.028 1.838
P 0.057 -0.148 0.324
C -0.028 -0.153 -1.398
Cl 1.372 -0.305 -2.288
H 1.218 0.317 0.719
H -0.920 -0.809 -1.756

* SMILES: FP=[PH]=CCl
* total energy: -1281.96632 Ha
* HOMO level (spin up / spin down): -7.679 / -7.655 eV
* net charge: 0
* spin multiplicity: 1
* LUMO energy (spin up / spin down): -0.83 / -0.96 eV

***

No. 2
Computed, not measured: a molecular structure, C11H12ClN2O3W at a distorted geometry, with wB97M-V/def2-TZVPD.

Positions of all 30 atoms, in Å:
W 0.335 -2.762 -0.550
N -2.525 -2.794 -0.129
C -2.274 -3.106 1.309
C -0.805 -2.716 1.473
O -0.485 -1.582 0.935
N 0.094 -3.636 1.685
C 1.443 -3.251 2.182
C 1.905 -1.924 1.543
O 2.166 -0.895 2.062
O 1.853 -2.081 0.181
H -3.046 -1.906 -0.203
H -3.163 -3.490 -0.535
H -2.424 -4.171 1.534
H -2.900 -2.510 1.989
H 2.159 -4.070 1.972
H 1.376 -3.147 3.277
Cl -0.199 6.540 -0.659
C 0.138 4.945 -0.967
C 0.492 4.522 -2.283
C 0.767 3.219 -2.542
C 0.635 2.204 -1.508
C 0.748 0.894 -1.838
C 0.319 2.667 -0.173
C 0.086 3.977 0.084
H 0.529 5.260 -3.073
H 1.058 2.909 -3.536
H 0.558 0.050 -1.105
H 1.019 0.602 -2.844
H 0.289 1.946 0.632
H -0.148 4.307 1.086

* total energy: -1287.51465 Ha
* HOMO level (spin up / spin down): -18.980 / -18.980 eV
* net charge: +3
* spin multiplicity: 1
* LUMO energy (spin up / spin down): -14.48 / -14.48 eV

***

No. 3
Computed, not measured: C2H6OS3 in the gas phase at a distorted geometry, with wB97M-V/def2-TZVPD.

Positions of all 12 atoms, in Å:
C 1.786 -1.687 -0.711
C -2.216 1.261 0.922
O -0.350 0.057 -0.605
S 1.257 -0.229 0.259
S 2.620 1.066 -0.072
S -1.304 1.351 -0.631
H 2.593 -2.059 -0.055
H 2.087 -1.400 -1.682
H 0.984 -2.332 -0.958
H -3.019 2.056 0.636
H -1.725 1.574 1.911
H -2.712 0.341 0.986

* total energy: -1349.51891 Ha
* HOMO level: -8.261 eV
* net charge: 0
* spin multiplicity: 1
* LUMO energy: -0.11 eV

***

No. 4
Computed, not measured: 8 unconnected molecules or ions with the total composition C17H49B3F2O10S7, with wB97M-V/def2-TZVPD.

Positions of all 88 atoms, in Å:
C 4.704 2.225 -0.111
C 3.433 1.394 -0.261
C 2.424 1.647 0.847
F 2.482 0.614 1.813
B 0.913 1.798 0.394
O 0.116 2.756 1.021
B -0.358 3.709 0.132
O -0.842 3.225 -1.063
B -0.814 1.845 -1.077
F -1.904 1.177 -1.429
O 0.308 1.159 -0.678
H 5.269 1.933 0.773
H 4.478 3.290 -0.036
H 5.348 2.096 -0.978
H 3.695 0.337 -0.233
H 3.007 1.568 -1.249
H 2.688 2.573 1.366
H -0.280 4.866 0.361
C -5.004 5.616 1.071
S -3.345 5.866 0.431
O -2.463 6.097 1.605
C -3.655 7.472 -0.311
H -5.007 4.681 1.628
H -5.258 6.436 1.742
H -5.705 5.558 0.239
H -4.010 8.158 0.458
H -4.391 7.366 -1.108
H -2.713 7.827 -0.723
C 2.316 0.158 -4.961
S 2.152 -0.261 -3.219
O 3.541 -0.386 -2.702
C 1.577 -1.938 -3.495
H 2.715 1.169 -5.019
H 3.005 -0.544 -5.430
H 1.338 0.120 -5.441
H 2.312 -2.492 -4.075
H 0.622 -1.914 -4.020
H 1.449 -2.406 -2.522
C -0.508 -6.988 -4.337
S -0.563 -5.195 -4.386
O 0.846 -4.721 -4.393
C -1.168 -4.974 -2.709
H -0.099 -7.329 -5.285
********

Outcome:
No. 1
Computed, not measured: CH2ClFP2 in the gas phase at a distorted geometry, with wB97M-V/def2-TZVPD.

Positions of all 7 atoms, in Å:
F -0.334 1.070 2.562
P -1.365 0.028 1.838
P 0.057 -0.148 0.324
C -0.028 -0.153 -1.398
Cl 1.372 -0.305 -2.288
H 1.218 0.317 0.719
H -0.920 -0.809 -1.756

* SMILES: FP=[PH]=CCl
* total energy: -1281.96632 Ha
* HOMO level (spin up / spin down): -7.679 / -7.655 eV
* net charge: 0
* spin multiplicity: 1
* LUMO energy (spin up / spin down): -0.83 / -0.96 eV

***

No. 2
Computed, not measured: a molecular structure, C11H12ClN2O3W at a distorted geometry, with wB97M-V/def2-TZVPD.

Positions of all 30 atoms, in Å:
W 0.335 -2.762 -0.550
N -2.525 -2.794 -0.129
C -2.274 -3.106 1.309
C -0.805 -2.716 1.473
O -0.485 -1.582 0.935
N 0.094 -3.636 1.685
C 1.443 -3.251 2.182
C 1.905 -1.924 1.543
O 2.166 -0.895 2.062
O 1.853 -2.081 0.181
H -3.046 -1.906 -0.203
H -3.163 -3.490 -0.535
H -2.424 -4.171 1.534
H -2.900 -2.510 1.989
H 2.159 -4.070 1.972
H 1.376 -3.147 3.277
Cl -0.199 6.540 -0.659
C 0.138 4.945 -0.967
C 0.492 4.522 -2.283
C 0.767 3.219 -2.542
C 0.635 2.204 -1.508
C 0.748 0.894 -1.838
C 0.319 2.667 -0.173
C 0.086 3.977 0.084
H 0.529 5.260 -3.073
H 1.058 2.909 -3.536
H 0.558 0.050 -1.105
H 1.019 0.602 -2.844
H 0.289 1.946 0.632
H -0.148 4.307 1.086

* total energy: -1287.51465 Ha
* HOMO level (spin up / spin down): -18.980 / -18.980 eV
* net charge: +3
* spin multiplicity: 1
* LUMO energy (spin up / spin down): -14.48 / -14.48 eV

***

No. 3
Computed, not measured: C2H6OS3 in the gas phase at a distorted geometry, with wB97M-V/def2-TZVPD.

Positions of all 12 atoms, in Å:
C 1.786 -1.687 -0.711
C -2.216 1.261 0.922
O -0.350 0.057 -0.605
S 1.257 -0.229 0.259
S 2.620 1.066 -0.072
S -1.304 1.351 -0.631
H 2.593 -2.059 -0.055
H 2.087 -1.400 -1.682
H 0.984 -2.332 -0.958
H -3.019 2.056 0.636
H -1.725 1.574 1.911
H -2.712 0.341 0.986

* total energy: -1349.51891 Ha
* HOMO level: -8.261 eV
* net charge: 0
* spin multiplicity: 1
* LUMO energy: -0.11 eV

***

No. 4
Computed, not measured: 8 unconnected molecules or ions with the total composition C17H49B3F2O10S7, with wB97M-V/def2-TZVPD.

Positions of all 88 atoms, in Å:
C 4.704 2.225 -0.111
C 3.433 1.394 -0.261
C 2.424 1.647 0.847
F 2.482 0.614 1.813
B 0.913 1.798 0.394
O 0.116 2.756 1.021
B -0.358 3.709 0.132
O -0.842 3.225 -1.063
B -0.814 1.845 -1.077
F -1.904 1.177 -1.429
O 0.308 1.159 -0.678
H 5.269 1.933 0.773
H 4.478 3.290 -0.036
H 5.348 2.096 -0.978
H 3.695 0.337 -0.233
H 3.007 1.568 -1.249
H 2.688 2.573 1.366
H -0.280 4.866 0.361
C -5.004 5.616 1.071
S -3.345 5.866 0.431
O -2.463 6.097 1.605
C -3.655 7.472 -0.311
H -5.007 4.681 1.628
H -5.258 6.436 1.742
H -5.705 5.558 0.239
H -4.010 8.158 0.458
H -4.391 7.366 -1.108
H -2.713 7.827 -0.723
C 2.316 0.158 -4.961
S 2.152 -0.261 -3.219
O 3.541 -0.386 -2.702
C 1.577 -1.938 -3.495
H 2.715 1.169 -5.019
H 3.005 -0.544 -5.430
H 1.338 0.120 -5.441
H 2.312 -2.492 -4.075
H 0.622 -1.914 -4.020
H 1.449 -2.406 -2.522
C -0.508 -6.988 -4.337
S -0.563 -5.195 -4.386
O 0.846 -4.721 -4.393
C -1.168 -4.974 -2.709
H -0.099 -7.329 -5.285